5th September:
Had a good long break yesterday before going out, half-heartedly at first. I expected the same again: back home by 2, maybe 1:30. No fun allowed. Fortunately, that wasn’t the case at all! From the offset, things were better as we had a larger group, and we had a solid destination. We were going dancing! We’re going to the dance bar, lads! Two Czechs and a German came with us, although the music was too loud for one of the new recruits, the rest of us experienced what I assume a normal Copenhagen weekend would be. It finally felt like the first big night after restrictions were lifted. I have a bruise from trying to do limbo, and one of our party threw my jumper into miscellaneous fluids at one point, but it was still fun. Had to run to make it for breakfast this morning, os you know it was a long night. Denmark, you’re pulling me back in.
I’ve not seen any significant amount of homeless people here. After Paris and Istanbul, Copenhagen seems devoid of them. I think I’ve seen maybe one or two, but I don’t know for sure. That’s a surprise.
The guy in my room is leaving tonight, so I’ll have the place to myself! Woo!

Almost 9pm, and I’m sitting in some else’s hostel because it was closer than mine. Miska and Pauline, the two Czechs I mentioned before, are currently using the sauna, because this is the price band of a hostel where they have their own sauna, I suppose. So, I’m sat in the lobby/ common room/ bar drinking a milkless Earl Grey whilst writing this. My rent-a-bike ran over by 6 hours, and I’ve been charged the same price again for the privilege. The fact I’d have to walk back was enough to persuade me to squat here for a time being. At least it gives me an excuse to do some writing.
So yes, I spent the day walking around Christiania, the area of Copenhagen housing hippies and hemp. I know that might sound hyperbolic if you aren’t familiar with the location, but this is quite literally where all the cannabis and hippies are. Let me set the tone.

We walked out from Nyhaven to Freetown Christiania. When you arrive there, there’s a wall covered in graffiti with intermittent alleys that lead further in. If you take the route we took, you’ll go from city streets with city buildings to a quiet country village in less than 20 seconds. The first bit of grass we saw housed a maypole. I haven’t seen a maypole in years. To our left, as we arrived, we heard drumming from a warehouse. Inside was a mix of young and old musicians practicing their marching band routine. Inside was a mix of young and (mostly) elderly musicians practicing their marching band routine. The outside of the warehouse was being spray-painted as we walked by. In fact, there was so much wall art and graffiti everywhere that I would've been there all day trying to describe all of it even superficially. Needless to say, the range on quality was stark at times, but considering the breadth of artistic styles on display here I’d be disingenuous to give any sort of advanced commentary. There was a lot of graffiti. I don’t know what else to add. There, done.

**The entry is interrupted by calculated crystals:**
No. 1
Here is ScTa2Tl after structural relaxation from Alexandria. Energies are from PBE.

Structure (POSCAR):
```
ScTa2Tl
1.0
2.980 0.000 0.000
0.000 2.980 0.000
0.000 0.000 9.261
Sc Ta Tl
1 2 1
Direct
0.000 0.000 0.000
0.000 0.000 0.481
0.500 0.500 0.244
0.500 0.500 0.735
```

raw total energy: -7.887 eV/atom
magnetic moment: 0.00 μB per formula unit
density: 12.34 g cm⁻³
space group: P4mm


No. 2
Here is ScTa2Tl after structural relaxation from Alexandria. Energies are from PBE.

Structure (POSCAR):
```
ScTa2Tl
1.0
2.980 0.000 0.000
0.000 2.980 0.000
0.000 0.000 9.255
Sc Ta Tl
1 2 1
Direct
0.000 0.000 0.000
0.500 0.500 0.248
0.500 0.500 0.752
0.000 0.000 0.500
```

raw total energy: -7.707 eV/atom
magnetic moment: 0.00 μB per formula unit
density: 12.35 g cm⁻³
space group: P4/mmm


No. 3
Here is ScTaTl2 after structural relaxation from Alexandria. Energies are from PBE.

Structure (POSCAR):
```
ScTaTl2
1.0
3.133 0.000 0.000
0.000 5.076 0.000
-0.310 0.000 5.695
Sc Ta Tl
1 1 2
Direct
0.000 0.000 0.000
0.500 0.000 0.500
0.272 0.500 0.743
0.728 0.500 0.257
```

raw total energy: -5.434 eV/atom
magnetic moment: 0.00 μB per formula unit
density: 11.63 g cm⁻³
space group: P2/m

Christiania was such a well-functioning commune. It’s right in the middle of a capital city, but it feels so far away. Everyone is smoking, eating, and drinking weed (“say no to hard drugs” read the sign), which makes sense as everyone seems generally a little bit stoned. You walk through clouds of smoke sometimes. At the same time there are plenty of spaces for children, and nobody was doing anything remotely dodgy; mostly, it seemed like a bunch of old-school hippies taking time out from watering their tomatoes to walk around and catch up with each other who were sitting outside of their own homes weaving reed baskets.
The structure of the commune was impressive by itself. There’re obviously the larger concrete buildings, repurposed from their original military use, but most of the houses and shops here seem to have been built using... brute force? People built their houses wherever they could, and with no cohesion. Some of them look quite modern and sleek, and others are concrete sheds with a bike outside; literally a studio flat made from a shed. And yet somehow it works. nobody is angry here. Well, except that their independence means there are no police here, so if there are any issues, then it takes far longer for anyone to arrive. Maybe things are only pretty during the day.

/*
Entry 1:
# TbSm2Ga3Pt4 (PBE, relaxed)
data_TbSm2Ga3Pt4
_chemical_formula_sum 'Tb1 Sm2 Ga3 Pt4'
_space_group_name_H-M_alt 'P 1'
_space_group_IT_number 1
_space_group_name_Hall 'P 1'
_cell_length_a 4.228
_cell_length_b 4.228
_cell_length_c 11.495
_cell_angle_alpha 90.00
_cell_angle_beta 90.00
_cell_angle_gamma 90.00
loop_
_atom_site_label
_atom_site_type_symbol
_atom_site_fract_x
_atom_site_fract_y
_atom_site_fract_z
Ga1 Ga 0.000 0.500 0.125
Ga2 Ga 0.500 0.000 0.875
Sm1 Sm 0.000 0.500 0.774
Pt1 Pt 0.000 0.000 0.000
Ga3 Ga 0.000 0.000 0.500
Pt2 Pt 0.500 0.000 0.659
Pt3 Pt 0.000 0.500 0.341
Tb1 Tb 0.500 0.500 0.500
Pt4 Pt 0.500 0.500 0.000
Sm2 Sm 0.500 0.000 0.226
# **Electronic total energy**: -57.03 eV per cell
# **SG**: No. 115
# **N(E_F)**: 0.67 states/eV/atom
# **Calculated density**: 11.71 g/cm3
# **Total magnetic moment**: 0.00 μB per cell


Entry 2:
# NaCuRh2 (PBE, relaxed)
data_NaCuRh2
_chemical_formula_sum 'Na2 Cu2 Rh4'
_space_group_name_H-M_alt 'P 1'
_space_group_IT_number 1
_space_group_name_Hall 'P 1'
_cell_length_a 3.736
_cell_length_b 3.736
_cell_length_c 9.800
_cell_angle_alpha 79.01
_cell_angle_beta 79.01
_cell_angle_gamma 90.00
loop_
_atom_site_label
_atom_site_type_symbol
_atom_site_fract_x
_atom_site_fract_y
_atom_site_fract_z
Cu1 Cu 0.750 0.250 0.500
Cu2 Cu 0.000 0.000 0.000
Na1 Na 0.250 0.750 0.500
Rh1 Rh 0.875 0.892 0.750
Na2 Na 0.500 0.500 0.000
Rh2 Rh 0.375 0.358 0.750
Rh3 Rh 0.108 0.625 0.250
Rh4 Rh 0.642 0.125 0.250
# **Electronic total energy**: -35.40 eV per cell
# **SG**: No. 122
# **N(E_F)**: 1.06 states/eV/atom
# **Calculated density**: 7.37 g/cm3
# **Total magnetic moment**: 2.67 μB per cell
# **Energy relative to the lowest polymorph listed for this composition**: 119 meV per atom


Entry 3:
# SrPSe2N (PBE, relaxed)
data_SrPSe2N
_chemical_formula_sum 'Sr1 P1 Se2 N1'
_space_group_name_H-M_alt 'P 1'
_space_group_IT_number 1
_space_group_name_Hall 'P 1'
_cell_length_a 5.155
_cell_length_b 3.768
_cell_length_c 5.155
_cell_angle_alpha 90.00
_cell_angle_beta 90.00
_cell_angle_gamma 90.00
loop_
_atom_site_label
_atom_site_type_symbol
_atom_site_fract_x
_atom_site_fract_y
_atom_site_fract_z
Se1 Se 0.000 0.000 0.500
N1 N 0.000 0.000 0.000
Sr1 Sr 0.500 0.500 0.500
P1 P 0.000 0.500 0.000
Se2 Se 0.500 0.000 0.000
# **Formation energy (no corrections)**: 0.071 eV per atom
# **Electronic total energy**: -22.03 eV per cell
# **SG**: No. 123
# **N(E_F)**: 0.44 states/eV/atom
# **Calculated density**: 4.82 g/cm3
# **Total magnetic moment**: 0.00 μB per cell
# **Energy relative to the lowest polymorph listed for this composition**: 317 meV per atom


Entry 4:
# YZrBe2 (PBE, relaxed)
data_YZrBe2
_chemical_formula_sum 'Y1 Zr1 Be2'
_space_group_name_H-M_alt 'P 1'
_space_group_IT_number 1
_space_group_name_Hall 'P 1'
_cell_length_a 4.689
_cell_length_b 4.689
_cell_length_c 4.689
_cell_angle_alpha 60.00
_cell_angle_beta 60.00
_cell_angle_gamma 60.00
loop_
_atom_site_label
_atom_site_type_symbol
_atom_site_fract_x
_atom_site_fract_y
*/

6th September:
I’ll finish today in Sweden, so let’s finish up in Denmark.
I couldn’t help but think yesterday about my grandad and how much he would have loved to visit Christiania. Hash and gardening. I don’t know if he ever visited Copenhagen, but Christiania only got going in the 70s, so maybe he hadn’t heard about it before old age set in. I can guarantee he would have lived here in another life. Maybe he will. There’s even a stable in the commune! I don’t understand how they’ve managed toto get away with such a bold installation. There were four horses in the paddock, with a small family observing them from a verge nearby. Further along the path we saw a modern version of a Viking longhouse, or something similar. It had a roof that sloped deeply over one side of the walls and curved off in a half-crescent shape around a fire pit. Amongst some of the other houses it felt uncomfortably professional, too neat. I like it a lot.

_Someone pasted crystal structures at this point_
........
Entry 1:
Compound: Ti2TlZn2
Source: Alexandria
Functional: PBE
Structure: relaxed

Cell and atoms, written as CIF:
```
data_Ti2TlZn2
_chemical_formula_sum 'Ti4 Tl2 Zn4'
_symmetry_space_group_name_H-M 'P 1'
_symmetry_Int_Tables_number 1
_symmetry_space_group_name_Hall 'P 1'
_cell_length_a 7.329
_cell_length_b 7.329
_cell_length_c 3.216
_cell_angle_alpha 90.00
_cell_angle_beta 90.00
_cell_angle_gamma 90.00
loop_
_atom_site_label
_atom_site_type_symbol
_atom_site_fract_x
_atom_site_fract_y
_atom_site_fract_z
_atom_site_occupancy
Ti1 Ti 0.176 0.324 0.000 1
Ti2 Ti 0.324 0.824 0.000 1
Ti3 Ti 0.676 0.176 0.000 1
Ti4 Ti 0.824 0.676 0.000 1
Tl1 Tl 0.000 0.000 0.500 1
Tl2 Tl 0.500 0.500 0.500 1
Zn1 Zn 0.119 0.619 0.500 1
Zn2 Zn 0.381 0.119 0.500 1
Zn3 Zn 0.619 0.881 0.500 1
Zn4 Zn 0.881 0.381 0.500 1
```

## Properties
- crystal system = tetragonal
- relative energy among the computed polymorphs (eV per atom) = 0.0000
- density of states at the Fermi level (states/eV per cell) = 4.12
- formation energy from the elements (eV per atom) = -0.001
- space-group type = P4/mbm
- calculated volume (Å³ per cell) = 172.7

Entry 2:
Compound: Ba5Zn2Pt5
Source: Alexandria
Functional: PBE
Structure: relaxed

Cell and atoms, written as CIF:
```
data_Ba5Zn2Pt5
_chemical_formula_sum 'Ba5 Zn2 Pt5'
_symmetry_space_group_name_H-M 'P 1'
_symmetry_Int_Tables_number 1
_symmetry_space_group_name_Hall 'P 1'
_cell_length_a 8.295
_cell_length_b 8.295
_cell_length_c 12.458
_cell_angle_alpha 126.26
_cell_angle_beta 126.26
_cell_angle_gamma 30.44
loop_
_atom_site_label
_atom_site_type_symbol
_atom_site_fract_x
_atom_site_fract_y
_atom_site_fract_z
_atom_site_occupancy
Ba1 Ba 0.000 0.000 0.000 1
Ba2 Ba 0.321 0.321 0.417 1
Ba3 Ba 0.368 0.368 0.171 1
Ba4 Ba 0.632 0.632 0.829 1
Ba5 Ba 0.679 0.679 0.583 1
Zn1 Zn 0.387 0.387 0.731 1
Zn2 Zn 0.613 0.613 0.269 1
Pt1 Pt 0.000 0.000 0.500 1
Pt2 Pt 0.062 0.062 0.331 1
Pt3 Pt 0.306 0.306 0.860 1
Pt4 Pt 0.694 0.694 0.140 1
Pt5 Pt 0.938 0.938 0.669 1
```

## Properties
- crystal system = monoclinic
- density of states at the Fermi level (states/eV per cell) = 3.61
- formation energy from the elements (eV per atom) = -0.649
- space-group type = C2/m
- calculated volume (Å³ per cell) = 343.1

Entry 3:
Compound: TmBePt6
Source: Alexandria
Functional: PBE
Structure: relaxed

Cell and atoms, written as CIF:
```
data_TmBePt6
_chemical_formula_sum 'Tm1 Be1 Pt6'
_symmetry_space_group_name_H-M 'P 1'
_symmetry_Int_Tables_number 1
_symmetry_space_group_name_Hall 'P 1'
_cell_length_a 5.448
_cell_length_b 5.448
_cell_length_c 5.448
_cell_angle_alpha 107.51
_cell_angle_beta 107.51
_cell_angle_gamma 107.51
loop_
_atom_site_label
_atom_site_type_symbol
_atom_site_fract_x
_atom_site_fract_y
_atom_site_fract_z
_atom_site_occupancy
Tm1 Tm 0.000 0.000 0.000 1
Be1 Be 0.500 0.500 0.500 1
Pt1 Pt 0.235 0.235 0.672 1
Pt2 Pt 0.235 0.672 0.235 1
Pt3 Pt 0.328 0.765 0.765 1
Pt4 Pt 0.672 0.235 0.235 1
Pt5 Pt 0.765 0.328 0.765 1
Pt6 Pt 0.765 0.765 0.328 1
```

## Properties
........
_So much for the crystal structures_

Before we turned back to leave, we rested for a while at a tiny beach that’s on the edge of a lake. The size meant that there were few other people that could squeeze in alongside us. One was gently swinging in a hammock and taking drags from her vape. Others were playing cards and chatting at a table. Another three were sat just off the sand and talking amongst themselves. In the middle of the lake was a toy sailing boat with surprisingly decent rigging; a true miniature. Next to us, half-listing at the water’s edge, was a bathtub, a passive observer to the events around it. Another example of the quiet chaos here.

It was getting late now, and a little chilly outside of the sun, not to mention the creeping hunger we all had. We bade farewell to Freetown and set off for what Misha assured us was a big food court just back up the road. After about 20 minutes of struggling, we discovered that the area was being redeveloped and the court no longer existed. Instead, we went to Broens Gadekøkken, a different street food market that had a stall with decent butter chicken. Judging from everyone else’s picks and their reactions to them (savoury crepes and a fish finger sandwich) I like to think I chose the best. Typically, just like after every large meal you feel quite tired, so we went back to the same ice-cream shop from before and bought a massive stack again. Well, mostly I did. Misha only got two scoops. I went whole hog on mine again. The ice-cream is too good to pass up.
By this time, it was around 6pm and the wind had picked up to make the evening uncomfortably cold. I’d overused my bike by accident which meant I couldn’t cycle home in 10 minutes anymore. Misha suggested I squat in their hostel for a while, which as you can guess from yesterday’s entry, I did. I stayed until around 12:30 and walked like the wind to get back to a now pristine hotel room.

Before leaving for Malmo, I wanted to have a quick lunch at the hostel, but when the lady asked me if I had paid for the meal, I answered yes and then legged it when she left to check, grabbing a handful of chips as I did.
Now I’m sat outside Hylline station, waiting for a pickup from an old family friend. Copenhagen was awesome. Will definitely consider moving there in my late 30s when I want to open a sleepy bookshop. Onto Sweden!